/*
Material: W2SeO
Method: DFT, PBE with a Hubbard U
State: relaxed

Unit cell a=4.353 b=4.353 c=4.353 alpha=60.00 beta=60.00 gamma=60.00
Fractional positions:
W  0.250  0.250  0.250
W  0.750  0.750  0.750
Se  0.000  0.000  0.000
O  0.500  0.500  0.500

Values from the calculation:
* total DFT energy (no corrections): -4.861 eV per atom
* size of the total moment: 3.91 μB per cell
* density of states at the Fermi level: 1.28 states/eV per cell

=====

1.
Here is a geometry-optimized Na2OsO2 structure from Alexandria via LeMat-Bulk. Energies are from PBE.

## Properties
Calculated volume, Å³ per cell: 116.9
Formation energy (no corrections), kJ/mol of formula units: 157

Unit cell a=6.6287 b=6.6287 c=2.6606 alpha=90.00 beta=90.00 gamma=90.00
Element x y z (fractional)
O: 0.1886 0.6886 0.5000
Os: 0.0000 0.0000 0.0000
Na: 0.3831 0.8831 0.0000
Na: 0.8831 0.6169 0.0000
Na: 0.1169 0.3831 0.0000
Os: 0.5000 0.5000 0.0000
O: 0.6886 0.8114 0.5000
O: 0.8114 0.3114 0.5000
O: 0.3114 0.1886 0.5000
Na: 0.6169 0.1169 0.0000


2.
Here is a geometry-optimized HfZn2Pb structure from Alexandria via LeMat-Bulk. Energies are from PBE.

## Properties
Calculated volume, Å³ per cell: 172.0
Formation energy from the elements, eV per formula unit: 1.0

Unit cell a=7.6779 b=7.6779 c=6.1635 alpha=51.48 beta=51.48 gamma=90.00
Element x y z (fractional)
Hf: 0.2500 0.7500 0.5000
Zn: 0.6229 0.1250 0.2500
Zn: 0.8750 0.8729 0.7500
Pb: 0.7500 0.2500 0.5000
Zn: 0.1271 0.6250 0.2500
Pb: 0.0000 0.0000 0.0000
Zn: 0.3750 0.3771 0.7500
Hf: 0.5000 0.5000 0.0000


3.
Here is a geometry-optimized K3PrPu2S6 structure from Alexandria via LeMat-Bulk. Energies are from PBE.

## Properties
Calculated volume, Å³ per cell: 329.7
Formation energy (no corrections), kJ/mol of formula units: -1927

Unit cell a=7.1937 b=7.1937 c=7.7380 alpha=98.92 beta=98.92 gamma=120.00
Element x y z (fractional)
S: 0.9322 0.5899 0.7967
S: 0.4101 0.0678 0.2033
Pr: 0.0000 0.0000 0.0000
K: 0.1659 0.8341 0.5000
K: 0.5000 0.5000 0.5000
K: 0.8341 0.1659 0.5000
Pu: 0.3332 0.6668 0.0000
S: 0.5899 0.9322 0.7967
S: 0.2744 0.2744 0.7965
S: 0.7256 0.7256 0.2035
Pu: 0.6668 0.3332 0.0000
S: 0.0678 0.4101 0.2033


4.
Here is a geometry-optimized SrZnCr2 structure from Alexandria via LeMat-Bulk. Energies are from PBE.

## Properties
Calculated volume, Å³ per cell: 84.3
Formation energy from the elements, eV per formula unit: 3.5

Unit cell a=5.0553 b=5.0553 c=5.0553 alpha=131.31 beta=114.80 gamma=85.44
Element x y z (fractional)
Cr: 0.1691 0.6691 0.5000
Sr: 0.4906 0.4906 0.0000
Cr: 0.0381 0.0381 0.0000
Zn: 0.8022 0.3022 0.5000


5.
Here is a geometry-optimized TlBi2H structure from Alexandria via LeMat-Bulk. Energies are from PBE.

## Properties
Calculated volume, Å³ per cell: 215.6
DFT total energy, Ry per atom: -0.236

Unit cell a=3.4160 b=7.6759 c=10.8773 alpha=61.34 beta=89.87 gamma=116.40
Element x y z (fractional)
Bi: 0.7452 0.2409 0.8384
Tl: 0.7876 0.7929 0.7865
Bi: 0.2418 0.7438 0.5201
Tl: 0.2124 0.2071 0.2135
H: 0.8802 0.3748 0.9509
H: 0.1198 0.6252 0.0491
Bi: 0.2548 0.7591 0.1616
Bi: 0.7582 0.2562 0.4799


6.
Here is a geometry-optimized NaMn2Au structure from Alexandria via LeMat-Bulk. Energies are from PBE.

## Properties
Calculated volume, Å³ per cell: 154.4
Formation energy from the elements, eV per formula unit: 2.3

Unit cell a=3.9803 b=3.9803 c=10.1450 alpha=78.69 beta=78.69 gamma=90.00
Element x y z (fractional)
Mn: 0.1034 0.6250 0.2500
Mn: 0.8750 0.8966 0.7500
Na: 0.5000 0.5000 0.0000
Na: 0.2500 0.7500 0.5000
Au: 0.7500 0.2500 0.5000
Mn: 0.6466 0.1250 0.2500
Au: 0.0000 0.0000 0.0000
Mn: 0.3750 0.3534 0.7500


7.
Here is a geometry-optimized TiAuF2 structure from Alexandria via LeMat-Bulk. Energies are from PBE.

## Properties
Calculated volume, Å³ per cell: 54.8
Formation energy (no corrections), kJ/mol of formula units: -389

Unit cell a=4.2635 b=4.2635 c=4.2635 alpha=60.00 beta=60.00 gamma=60.00
Element x y z (fractional)
Ti: 0.0000 0.0000 0.0000
Au: 0.5000 0.5000 0.5000
F: 0.7500 0.7500 0.7500
*/

Could you type out only the lines further above with the word "at" in them?

* density of states at the Fermi level: 1.28 states/eV per cell